Work order >
It remains to return everything further down verbatim.

Input >
'''
Record 1
## Tl2TcP (PBE)

Data for a geometry-optimized Tl2TcP structure.

Output
SG: No. 225
Formation energy from the elements: 0.994 eV/atom
ΔE to the lowest computed polymorph: 95.3 kJ/mol of atoms

abc: 4.865 4.865 4.865
angles: 60.00 60.00 60.00
Atoms (fractional coordinates):
1 Tl 0.250 0.250 0.250
2 Tl 0.750 0.750 0.750
3 Tc 0.000 0.000 0.000
4 P 0.500 0.500 0.500

***

Record 2
## Tl2TcP (PBE)

Data for a geometry-optimized Tl2TcP structure.

Output
SG: No. 122
Formation energy from the elements: 0.915 eV/atom
ΔE to the lowest computed polymorph: 87.7 kJ/mol of atoms

abc: 6.250 6.250 6.250
angles: 102.32 102.32 124.98
Atoms (fractional coordinates):
1 Tl 0.114 0.625 0.989
2 Tl 0.375 0.364 0.489
3 Tl 0.636 0.125 0.011
4 Tl 0.875 0.886 0.511
5 Tc 0.250 0.750 0.500
6 Tc 0.500 0.500 0.000
7 P 0.000 0.000 0.000
8 P 0.750 0.250 0.500

***

Record 3
## Tl2TcP (PBE)

Data for a geometry-optimized Tl2TcP structure.

Output
SG: No. 139
Formation energy from the elements: 0.895 eV/atom
ΔE to the lowest computed polymorph: 85.7 kJ/mol of atoms

abc: 5.851 5.851 5.851
angles: 138.72 138.72 59.81
Atoms (fractional coordinates):
1 Tl 0.250 0.750 0.500
2 Tl 0.750 0.250 0.500
3 Tc 0.000 0.000 0.000
4 P 0.500 0.500 0.000

***

Ordered calculated volume results: 20.4; 22.2; 21.6; unit Å³/atom.

----------

Ni2SClF, relaxed, DFT PBE with a Hubbard U; D(E_F) = 2.51 states/eV/cell; total energy = -2.513 eV/atom; crystal system = tetragonal
1.0
4.4152 0.0000 0.0000
0.0000 4.4152 0.0000
0.0000 0.0000 4.6189
Ni S Cl F
2 1 1 1
direct
0.0000 0.5000 0.0000 Ni
0.5000 0.0000 0.0000 Ni
0.0000 0.0000 0.0000 S
0.0000 0.0000 0.5000 Cl
0.5000 0.5000 0.5000 F

----------

Compound: LaTbAl4Ni2
Source: the Open Quantum Materials Database
Functional: PBE
Structure: optimized geometry

Cell lengths 6.9692, 5.6927, 5.6927 Å; angles 41.94, 90.00, 90.00 degrees
Fractional positions:
Al (0.3105, 0.1662, 0.1662)
Al (0.6895, 0.1662, 0.1662)
Al (0.1987, 0.8355, 0.8355)
Al (0.8013, 0.8355, 0.8355)
La (0.0000, 0.5556, 0.5556)
Ni (0.0000, 0.2802, 0.2802)
Ni (0.5000, 0.7166, 0.7166)
Tb (0.5000, 0.4441, 0.4441)

Results
**Electronic total energy**: -40.436 eV per cell
**Spin magnetization**: 0.0 μB per cell
**SG**: No. 38

---

Compound: LaYAl4Ni2
Source: the Open Quantum Materials Database
Functional: PBE
Structure: optimized geometry

Cell lengths 6.9591, 5.6869, 5.6869 Å; angles 41.77, 90.00, 90.00 degrees
Fractional positions:
Al (0.3108, 0.1665, 0.1665)
Al (0.6892, 0.1665, 0.1665)
Al (0.1987, 0.8353, 0.8353)
Al (0.8013, 0.8353, 0.8353)
La (0.0000, 0.5555, 0.5555)
Ni (0.0000, 0.2797, 0.2797)
Ni (0.5000, 0.7172, 0.7172)
Y (0.5000, 0.4440, 0.4440)

Results
**Electronic total energy**: -42.310 eV per cell
**Spin magnetization**: 0.0 μB per cell
**SG**: No. 38

---

Compound: La2AlOs2
Source: the Open Quantum Materials Database
Functional: PBE
Structure: optimized geometry

Cell lengths 5.7973, 5.7973, 8.0407 Å; angles 103.16, 103.16, 60.57 degrees
Fractional positions:
Al (0.9033, 0.0967, 0.2500)
Al (0.0967, 0.9033, 0.7500)
La (0.5009, 0.7914, 0.1450)
La (0.2086, 0.4991, 0.3550)
La (0.7914, 0.5009, 0.6450)
La (0.4991, 0.2086, 0.8550)
Os (0.9865, 0.2932, 0.0166)
Os (0.7068, 0.0135, 0.4834)
Os (0.2932, 0.9865, 0.5166)
Os (0.0135, 0.7068, 0.9834)

Results
**Electronic total energy**: -74.906 eV per cell
**Spin magnetization**: 0.0 μB per cell
**SG**: No. 15

---

Compound: La2Al3Os2
Source: the Open Quantum Materials Database
Functional: PBE
Structure: optimized geometry

Cell lengths 5.6999, 5.6999, 7.4979 Å; angles 114.92, 114.92, 42.50 degrees
Fractional positions:
Al (0.3498, 0.3498, 0.0643)
Al (0.5000, 0.5000, 0.5000)
Al (0.6502, 0.6502, 0.9357)
La (0.1413, 0.1413, 0.2603)
La (0.8587, 0.8587, 0.7397)
Os (0.8746, 0.8746, 0.2936)
Os (0.1254, 0.1254, 0.7064)

Results
**Electronic total energy**: -46.624 eV per cell
**Spin magnetization**: 0.0 μB per cell
**SG**: No. 12

---

> Which value of electronic total energy does entry 1 give?

-40.436 eV per cell

----------
'''

Written answer >
Record 1
## Tl2TcP (PBE)

Data for a geometry-optimized Tl2TcP structure.

Output
SG: No. 225
Formation energy from the elements: 0.994 eV/atom
ΔE to the lowest computed polymorph: 95.3 kJ/mol of atoms

abc: 4.865 4.865 4.865
angles: 60.00 60.00 60.00
Atoms (fractional coordinates):
1 Tl 0.250 0.250 0.250
2 Tl 0.750 0.750 0.750
3 Tc 0.000 0.000 0.000
4 P 0.500 0.500 0.500

***

Record 2
## Tl2TcP (PBE)

Data for a geometry-optimized Tl2TcP structure.

Output
SG: No. 122
Formation energy from the elements: 0.915 eV/atom
ΔE to the lowest computed polymorph: 87.7 kJ/mol of atoms

abc: 6.250 6.250 6.250
angles: 102.32 102.32 124.98
Atoms (fractional coordinates):
1 Tl 0.114 0.625 0.989
2 Tl 0.375 0.364 0.489
3 Tl 0.636 0.125 0.011
4 Tl 0.875 0.886 0.511
5 Tc 0.250 0.750 0.500
6 Tc 0.500 0.500 0.000
7 P 0.000 0.000 0.000
8 P 0.750 0.250 0.500

***

Record 3
## Tl2TcP (PBE)

Data for a geometry-optimized Tl2TcP structure.

Output
SG: No. 139
Formation energy from the elements: 0.895 eV/atom
ΔE to the lowest computed polymorph: 85.7 kJ/mol of atoms

abc: 5.851 5.851 5.851
angles: 138.72 138.72 59.81
Atoms (fractional coordinates):
1 Tl 0.250 0.750 0.500
2 Tl 0.750 0.250 0.500
3 Tc 0.000 0.000 0.000
4 P 0.500 0.500 0.000

***

Ordered calculated volume results: 20.4; 22.2; 21.6; unit Å³/atom.

----------

Ni2SClF, relaxed, DFT PBE with a Hubbard U; D(E_F) = 2.51 states/eV/cell; total energy = -2.513 eV/atom; crystal system = tetragonal
1.0
4.4152 0.0000 0.0000
0.0000 4.4152 0.0000
0.0000 0.0000 4.6189
Ni S Cl F
2 1 1 1
direct
0.0000 0.5000 0.0000 Ni
0.5000 0.0000 0.0000 Ni
0.0000 0.0000 0.0000 S
0.0000 0.0000 0.5000 Cl
0.5000 0.5000 0.5000 F

----------

Compound: LaTbAl4Ni2
Source: the Open Quantum Materials Database
Functional: PBE
Structure: optimized geometry

Cell lengths 6.9692, 5.6927, 5.6927 Å; angles 41.94, 90.00, 90.00 degrees
Fractional positions:
Al (0.3105, 0.1662, 0.1662)
Al (0.6895, 0.1662, 0.1662)
Al (0.1987, 0.8355, 0.8355)
Al (0.8013, 0.8355, 0.8355)
La (0.0000, 0.5556, 0.5556)
Ni (0.0000, 0.2802, 0.2802)
Ni (0.5000, 0.7166, 0.7166)
Tb (0.5000, 0.4441, 0.4441)

Results
**Electronic total energy**: -40.436 eV per cell
**Spin magnetization**: 0.0 μB per cell
**SG**: No. 38

---

Compound: LaYAl4Ni2
Source: the Open Quantum Materials Database
Functional: PBE
Structure: optimized geometry

Cell lengths 6.9591, 5.6869, 5.6869 Å; angles 41.77, 90.00, 90.00 degrees
Fractional positions:
Al (0.3108, 0.1665, 0.1665)
Al (0.6892, 0.1665, 0.1665)
Al (0.1987, 0.8353, 0.8353)
Al (0.8013, 0.8353, 0.8353)
La (0.0000, 0.5555, 0.5555)
Ni (0.0000, 0.2797, 0.2797)
Ni (0.5000, 0.7172, 0.7172)
Y (0.5000, 0.4440, 0.4440)

Results
**Electronic total energy**: -42.310 eV per cell
**Spin magnetization**: 0.0 μB per cell
**SG**: No. 38

---

Compound: La2AlOs2
Source: the Open Quantum Materials Database
Functional: PBE
Structure: optimized geometry

Cell lengths 5.7973, 5.7973, 8.0407 Å; angles 103.16, 103.16, 60.57 degrees
Fractional positions:
Al (0.9033, 0.0967, 0.2500)
Al (0.0967, 0.9033, 0.7500)
La (0.5009, 0.7914, 0.1450)
La (0.2086, 0.4991, 0.3550)
La (0.7914, 0.5009, 0.6450)
La (0.4991, 0.2086, 0.8550)
Os (0.9865, 0.2932, 0.0166)
Os (0.7068, 0.0135, 0.4834)
Os (0.2932, 0.9865, 0.5166)
Os (0.0135, 0.7068, 0.9834)

Results
**Electronic total energy**: -74.906 eV per cell
**Spin magnetization**: 0.0 μB per cell
**SG**: No. 15

---

Compound: La2Al3Os2
Source: the Open Quantum Materials Database
Functional: PBE
Structure: optimized geometry

Cell lengths 5.6999, 5.6999, 7.4979 Å; angles 114.92, 114.92, 42.50 degrees
Fractional positions:
Al (0.3498, 0.3498, 0.0643)
Al (0.5000, 0.5000, 0.5000)
Al (0.6502, 0.6502, 0.9357)
La (0.1413, 0.1413, 0.2603)
La (0.8587, 0.8587, 0.7397)
Os (0.8746, 0.8746, 0.2936)
Os (0.1254, 0.1254, 0.7064)

Results
**Electronic total energy**: -46.624 eV per cell
**Spin magnetization**: 0.0 μB per cell
**SG**: No. 12

---

> Which value of electronic total energy does entry 1 give?

-40.436 eV per cell

----------